Brief
What is needed: start at the top of the data below and reproduce each line, ending with the one that has "Ag1 0.596".
Listing
____________
#1
# Na2Ag2Sn | Alexandria | GGA-PBE | relaxed
# Volume   125.33 Å³/cell
# Crystal system   orthorhombic
data_Na2Ag2Sn
_symmetry_space_group_name_H-M 'P 1'
_symmetry_Int_Tables_number 1
_cell_length_a 4.673
_cell_length_b 5.866
_cell_length_c 5.913
_cell_angle_alpha 119.74
_cell_angle_beta 113.27
_cell_angle_gamma 90.00
loop_
_symmetry_equiv_pos_as_xyz
'x,y,z'
loop_
_atom_site_label
_atom_site_fract_x
_atom_site_fract_y
_atom_site_fract_z
Na1 0.805 0.305 0.610
Ag1 0.500 0.738 0.000
Na2 0.195 0.695 0.390
Ag2 0.500 0.262 0.000
Sn1 0.000 0.000 0.000

#2
# Na2Ag2Sn | Alexandria | GGA-PBE | relaxed
# Volume   123.12 Å³/cell
# Crystal system   tetragonal
data_Na2Ag2Sn
_symmetry_space_group_name_H-M 'P 1'
_symmetry_Int_Tables_number 1
_cell_length_a 4.197
_cell_length_b 4.197
_cell_length_c 7.593
_cell_angle_alpha 73.96
_cell_angle_beta 73.96
_cell_angle_gamma 90.00
loop_
_symmetry_equiv_pos_as_xyz
'x,y,z'
loop_
_atom_site_label
_atom_site_fract_x
_atom_site_fract_y
_atom_site_fract_z
Ag1 0.596 0.596 0.808
Ag2 0.404 0.404 0.192
Na1 0.750 0.250 0.500
Na2 0.250 0.750 0.500
Sn1 0.000 0.000 0.000

Top of the stability list: #1, leading by 25.7 kJ/mol of atoms.

#1
# Na2Ag2Sn | Alexandria | GGA-PBE | relaxed
# Volume   233.21 Å³/cell
# Crystal system   tetragonal
data_Na2Ag2Sn
_symmetry_space_group_name_H-M 'P 1'
_symmetry_Int_Tables_number 1
_cell_length_a 8.538
_cell_length_b 8.538
_cell_length_c 3.199
_cell_angle_alpha 90.00
_cell_angle_beta 90.00
_cell_angle_gamma 90.00
loop_
_symmetry_equiv_pos_as_xyz
'x,y,z'
loop_
_atom_site_label
_atom_site_fract_x
_atom_site_fract_y
_atom_site_fract_z
Sn1 0.000 0.000 0.000
Na1 0.132 0.368 0.000
Na2 0.368 0.868 0.000
Na3 0.632 0.132 0.000
Na4 0.868 0.632 0.000
Ag1 0.166 0.666 0.500
Sn2 0.500 0.500 0.000
Ag2 0.834 0.334 0.500
Ag3 0.666 0.834 0.500
Ag4 0.334 0.166 0.500

#2
# Na2Ag2Sn | Alexandria | GGA-PBE | relaxed
# Volume   228.99 Å³/cell
# Crystal system   monoclinic
data_Na2Ag2Sn
_symmetry_space_group_name_H-M 'P 1'
_symmetry_Int_Tables_number 1
_cell_length_a 5.013
_cell_length_b 5.747
_cell_length_c 9.885
_cell_angle_alpha 63.64
_cell_angle_beta 75.31
_cell_angle_gamma 64.14
loop_
_symmetry_equiv_pos_as_xyz
'x,y,z'
loop_
_atom_site_label
_atom_site_fract_x
_atom_site_fract_y
_atom_site_fract_z
Na1 0.557 0.241 0.644
Na2 0.334 0.288 0.043
Sn1 0.755 0.193 0.297
Na3 0.443 0.759 0.356
Ag1 0.861 0.694 0.584
Na4 0.666 0.712 0.957
Ag2 0.139 0.306 0.416
Ag3 0.020 0.810 0.150
Sn2 0.245 0.807 0.703
Ag4 0.980 0.190 0.850

#3
# Na2Ag2Sn | Alexandria | GGA-PBE | relaxed
# Volume   244.11 Å³/cell
# Crystal system   tetragonal
data_Na2Ag2Sn
_symmetry_space_group_name_H-M 'P 1'
_symmetry_Int_Tables_number 1
_cell_length_a 7.345
_cell_length_b 7.345
_cell_length_c 4.525
_cell_angle_alpha 90.00
_cell_angle_beta 90.00
_cell_angle_gamma 90.00
loop_
_symmetry_equiv_pos_as_xyz
'x,y,z'
loop_
_atom_site_label
_atom_site_fract_x
_atom_site_fract_y
_atom_site_fract_z
Na1 0.331 0.169 0.500
Ag1 0.363 0.863 0.000
Na2 0.669 0.831 0.500
Na3 0.169 0.669 0.500
Na4 0.831 0.331 0.500
Sn1 0.000 0.000 0.000
Ag2 0.637 0.137 0.000
Ag3 0.137 0.363 0.000
Sn2 0.500 0.500 0.000
Ag4 0.863 0.637 0.000

Top of the stability list: #2, leading by 2.1 kJ/mol of atoms.

#1
# NaAg3Sn | Alexandria | GGA-PBE | relaxed
# Volume   147.56 Å³/cell
# Crystal system   cubic
data_NaAg3Sn
_symmetry_space_group_name_H-M 'P 1'
_symmetry_Int_Tables_number 1
_cell_length_a 5.284
_cell_length_b 5.284
_cell_length_c 5.284
_cell_angle_alpha 90.00
_cell_angle_beta 90.00
_cell_angle_gamma 90.00
loop_
_symmetry_equiv_pos_as_xyz
'x,y,z'
loop_
_atom_site_label
_atom_site_fract_x
_atom_site_fract_y
_atom_site_fract_z
Na1 0.500 0.500 0.500
Sn1 0.000 0.000 0.000
Ag1 0.000 0.000 0.500
Ag2 0.000 0.500 0.000
Ag3 0.500 0.000 0.000

#2
# NaAg3Sn | Alexandria | GGA-PBE | relaxed
# Volume   123.83 Å³/cell
# Crystal system   cubic
data_NaAg3Sn
_symmetry_space_group_name_H-M 'P 1'
_symmetry_Int_Tables_number 1
_cell_length_a 4.984
_cell_length_b 4.984
_cell_length_c 4.984
____________
Outcome
#1
# Na2Ag2Sn | Alexandria | GGA-PBE | relaxed
# Volume   125.33 Å³/cell
# Crystal system   orthorhombic
data_Na2Ag2Sn
_symmetry_space_group_name_H-M 'P 1'
_symmetry_Int_Tables_number 1
_cell_length_a 4.673
_cell_length_b 5.866
_cell_length_c 5.913
_cell_angle_alpha 119.74
_cell_angle_beta 113.27
_cell_angle_gamma 90.00
loop_
_symmetry_equiv_pos_as_xyz
'x,y,z'
loop_
_atom_site_label
_atom_site_fract_x
_atom_site_fract_y
_atom_site_fract_z
Na1 0.805 0.305 0.610
Ag1 0.500 0.738 0.000
Na2 0.195 0.695 0.390
Ag2 0.500 0.262 0.000
Sn1 0.000 0.000 0.000

#2
# Na2Ag2Sn | Alexandria | GGA-PBE | relaxed
# Volume   123.12 Å³/cell
# Crystal system   tetragonal
data_Na2Ag2Sn
_symmetry_space_group_name_H-M 'P 1'
_symmetry_Int_Tables_number 1
_cell_length_a 4.197
_cell_length_b 4.197
_cell_length_c 7.593
_cell_angle_alpha 73.96
_cell_angle_beta 73.96
_cell_angle_gamma 90.00
loop_
_symmetry_equiv_pos_as_xyz
'x,y,z'
loop_
_atom_site_label
_atom_site_fract_x
_atom_site_fract_y
_atom_site_fract_z
Ag1 0.596 0.596 0.808